Play It 'Black' At University Golf Club

by Gayle Moss (
"If you build it, will they come?"
Well, they did for Kevin Costner's character in Field of Dreams, but any smart product manager knows, like the movie, that is pure fantasy when it comes to building successful products and services people want to buy, including tee times.
Most golf course designers and architects consider themselves visionaries when it comes to building public courses, but IMHO many miss the mark when designing courses for “the public”.
_Unrelated to this page: materials data_
'''
# Fe2Te4ClO12
Calculated powder diffraction line list, λ = 1.5418 Å (Cu Kα). Input: DFT lattice parameters and positions (GGA+U).
Peak positions follow from Bragg's law for the DFT cell and can differ from measured ones.

Principal peaks in the range 2θ from 10° to 80°, by intensity:
d = 3.247 Å, I 100, hkl -1 1 1
d = 3.404 Å, I 55, hkl 1 0 2
d = 4.896 Å, I 51, hkl 0 0 2
d = 4.722 Å, I 46, hkl 1 1 0
d = 4.107 Å, I 45, hkl 1 1 -1
d = 2.759 Å, I 36, hkl 0 2 -1

Structural model:
a b c (Å): 5.2696 6.5487 9.9371
angles (deg): 80.47 88.87 69.46
Fractional coordinates of all 19 atoms:
Fe  0.1867  0.1270  0.4389
Fe  0.8133  0.8730  0.5611
Te  0.2747  0.8979  0.7933
Te  0.3148  0.6280  0.3163
Te  0.6852  0.3720  0.6837
Te  0.7253  0.1021  0.2067
Cl  0.5000  0.0000  0.0000
O  0.0054  0.2174  0.8041
O  0.0097  0.1887  0.2553
O  0.1550  0.8219  0.4592
O  0.2318  0.4071  0.4322
O  0.4184  0.0109  0.6304
O  0.4710  0.4026  0.1769
O  0.5290  0.5974  0.8231
O  0.5816  0.9891  0.3696
O  0.7682  0.5929  0.5678
O  0.8450  0.1781  0.5408
O  0.9903  0.8113  0.7447
O  0.9946  0.7826  0.1959

~~~~~

# 1
Computed XRD peak list of Nd5As2BrO10 for Cu Kα (λ = 1.5418 Å), from a crystal structure in OQMD, relaxed with PBE.
No peak broadening, texture or thermal motion is included.

Top 10 peaks for 2θ = 10–90°, by intensity:
2θ/deg  I/Imax
30.95  100
29.00  99
31.41  41
45.41  39
31.95  29
26.53  21
55.63  19
51.98  19
54.44  18
43.89  16

Cell lengths 6.861, 6.861, 8.983 Å; angles 113.64, 113.64, 49.06 degrees
Element x y z (fractional)
Nd (0.000, 0.000, 0.000)
Nd (0.254, 0.254, 0.871)
Nd (0.499, 0.499, 0.292)
Nd (0.501, 0.501, 0.708)
Nd (0.746, 0.746, 0.129)
As (0.215, 0.215, 0.397)
As (0.785, 0.785, 0.603)
Br (0.000, 0.000, 0.500)
O (0.096, 0.623, 0.751)
O (0.132, 0.626, 0.083)
O (0.359, 0.359, 0.401)
O (0.374, 0.868, 0.917)
O (0.377, 0.904, 0.249)
O (0.623, 0.096, 0.751)
O (0.626, 0.132, 0.083)
O (0.641, 0.641, 0.599)
O (0.868, 0.374, 0.917)
O (0.904, 0.377, 0.249)

***

# 2
Computed XRD peak list of ErC8 for Cu Kα (λ = 1.5418 Å), from a crystal structure in OQMD, relaxed with PBE.
No peak broadening, texture or thermal motion is included.

Top 10 peaks for 2θ = 10–90°, by intensity:
2θ/deg  I/Imax
20.47  100
29.51  83
47.09  34
41.93  32
35.85  25
47.90  22
60.56  21
56.08  14
57.03  13
73.04  13

Cell lengths 5.010, 5.010, 4.225 Å; angles 90.00, 90.00, 120.00 degrees
Element x y z (fractional)
Er (0.000, 0.000, 0.000)
C (0.168, 0.336, 0.500)
C (0.168, 0.832, 0.500)
C (0.333, 0.667, 0.500)
C (0.336, 0.168, 0.500)
C (0.664, 0.832, 0.500)
C (0.667, 0.333, 0.500)
C (0.832, 0.168, 0.500)
C (0.832, 0.664, 0.500)

***

# 3
Computed XRD peak list of NdSmNi2Pb for Cu Kα (λ = 1.5418 Å), from a crystal structure in OQMD, relaxed with PBE.
No peak broadening, texture or thermal motion is included.

Top 10 peaks for 2θ = 10–90°, by intensity:
2θ/deg  I/Imax
33.01  100
34.43  65
28.57  49
38.02  33
57.25  30
44.26  24
55.43  19
48.64  18
37.19  15
63.35  15
'''
I’ve played many public courses in my golf career and it seems to me that too many designers forget to ask themselves this fundamental question before they start to dig, “Who am I building this for?”
From the tips, their courses look like masterpieces, but walk up to the forward tees and you wonder if the artist was still drawing with crayons.
It’s no wonder the forward tees are played predominantly by women, who really have no choice.
First, the markers look like lipstick, and second, they don’t offer what the white/blue/black tees do – fun challenges, risks and rewards and opportunities to improve a player’s physical and mental game.
So what do you do when you find yourself managing a golf club where the tees aren’t serving the needs of players you need to attract and retain?
Just ask Michael Mather, General Manager of the University Golf Club (UGC) in Vancouver, BC. Motivated by the Tee it Forward initiative championed by arguably the world’s greatest champion, Jack Nicklaus, Mather took a look at the market and realized that UGC wasn’t providing the experience a large segment of the golfing population (basically high handicappers) wanted.
“From the forward tees, UGC was close to 5,700 yards, making it quite challenging for shorter hitters, regardless of their age or gender,” said Mather. “We are very fortunate that UGC is a busy facility, but I didn’t want these players looking for a new ‘home club’ because we weren’t able to provide enough options in tee selection.”
So early this year, Mather and his team devised a plan to create a 4th tee option, specifically designed to make golf more enjoyable for new players, juniors, women and seniors who want to tee it forward and reach more greens in regulation – a goal, that until now, was only in their dreams.
“We can be ‘that’ club which caters to players of all abilities,” continued Mather, “And encourage them to experience all of the other great amenities UGC has to offer on a daily basis.”
The plan is being implemented over a two year period. This season, UGC introduced 8 new forward Black Tees on the 2nd, 4th, 5th, 9th, 10th, 13th, 14th and 17th holes, for a total length of 5,192 yards. Yes, you read that right – Black! As a marketer, I loved the idea from the start as it removes the stigma of forward tees being XX-rated only.
My 'golfguy' and I had the privilege of playing the new tees recently with our “Golf Coach Extraordinaire”, Ginny Golding. The experience for me was transformative, not just about my club selection on the new holes, but my attitude around the course.
Pretending that the par 4, 2nd was a par 5 was no longer a requirement for me to feel optimistic about my chances on the #1 handicap hole. It felt so great when I stepped up on the tee box knowing that I could par the hole without having to chip it in from the fringe.
I was also delighted that I didn’t have to hit driver, 3-wood, 3-wood to reach the par 5 greens in regulation. And watching Ginny land the 13th in two was a joy to watch. Golf was fun again!
But the icing on the cake for me was parring the long par 4, 9th hole – something I haven’t done in my 5+ years of playing UGC on a pretty regular basis. After the round, I asked Ginny her impressions about the new tees for her students.
“Probably 60% of my students and those who participate in my annual world golf trips are over the age of 50,” shared Ginny. “They want to extend their game and the quality of their game, but their bodies are changing and they recognize that they just can’t hit the ball as far as they once did. These new tees will help them prolong their participation in the sport they love, truly making golf a game for life for them.”
In 2014, Mather plans to add 6 additional black tee boxes on the 1st, 6th, 8th, 12th, 14th and 18th holes, bringing the yardage down to 4,845 yards. There is little doubt that this will bring back a lot of players who previously opted out for some of the short municipal and executive-type courses in the region.
There is even a desire to incorporate a set of “Happy Tees” (2,500 – 3,000 yards) opening up great opportunities for juniors. It may even encourage some moms, who typically stayed home with the kids while dad played, to take up the sport, making golf more of a family affair.
UGC management should be applauded for investing in the needs of their players and helping grow golf in the lower mainland. And unlike a North Vancouver course that threw darts at their back nine fairways in order to plop tee markers in places no real golfer would ever consider playing from, the UGC black tee boxes are very well designed and placed in locations that offer a challenging, but rewarding and fun experience for shorter hitters.
Congratulations UGC! You have set a benchmark for other clubs to follow.
And for those players who once considered the forward tees a “No Man’s Land”, good only for women and juniors who lack the testosterone to grip it and rip it, take another look at your options at UGC.
Black is beautiful baby! But if that’s too far a leap for you, take the first step forward and consider the White/Red combination. I guarantee you’ll have more fun, lose fewer balls and improve your pace of play (which everyone will appreciate!). Think of it as your contribution to growing the game in B.C.
Get your game on track, Listen to Jack, Tee it forward, And play it BLACK!